Does that word mean what you think it means?

| January 9, 2020

‘Nice’ – or, in Sharon’s particular brand of Strine, ‘noice’ – originates from the Latin verb ‘nescire’ (to be ignorant of), and it has only been over the past 700 or so years that it has come to mean what Sharon, aka Magda Szubanski, intends it to mean.

Language change is often driven by people’s desire to sound different. 

Welcome to the evolution of language. It’s cray, isn’t it?

By the way, that wasn’t a typo. Ask any millennial and they will tell you that ‘cray’ actually means ‘crazy’. If you get that, then ‘squad goals’. For the cognoscenti, that’s a seal of approval.

If you are struggling to understand how words with specific meanings don’t seem to be used properly any more, then you have arrived at the new age of language.

Consider an obvious example like ‘parents’. From the early 2000s, the collective noun has, in millennial-speak, been exchanged for ‘the rentals’ and, now, ‘the rents’.

Professor John Hajek, director of the Research Unit for Multilingualism and Cross-Cultural Communication at the University of Melbourne, suggests the evolution of English stretches way back – well before Shakespeare. Just look at the language of English medieval writer Geoffrey Chaucer.

Time, it seems, does funny things to words.

During the bard’s heyday, the word ‘girl’ meant a ‘young person’ or a child of either sex.

Language change is often driven by the desire of a generation not to just look different but also sound different to the previous one.

In Shakespeare’s time, the word ‘girl’ meant a ‘young person’ of either gender. 

“It can be as simple as them not wanting to sound like their parents,” explains Professor Hajek.

There are other factors, too.

“Traditionally, we deferred to the British variety of the English language, but we have been very heavily Americanised over the past 50 years,” he says.

Trousers are now pants, a lorry is a truck, and rubbish is often garbage.

In the past, we might have exclaimed, ‘That pissed me off’. But that has now evolved into, ‘That really pissed me’ for more Americanised youth

Blame it on the ubiquity of American popular culture reflected in TV, film and music.

The evolution of language has also enthralled John Rice-Whetton who started out studying for a Bachelor of Science, with an interest in meteorology, but switched to a Bachelor of Arts, majoring in linguistics.

He followed that up with an honours’ degree and is now studying for his PhD. His focus is the word ‘get’.

Language has been adapted to communicate across social media platforms. 

“It’s a very common word in informal spoken English; in fact, as many as one word in every 100 used is ‘get’ or a related form like ‘got’, ‘getting’ and so on,” he explains.

“There are certainly many interesting uses of the word.”

There must be, because his PhD, which will look at grammatical uses of the word in Scottish, Irish and Tyneside English, will run to 100,000 words.

Like Professor Hajek, Rice-Whetton agrees that the evolution of the language is as natural as changes in fashion or style.

“New technologies have been introduced and there were no words to describe them,” he says.

“We needed to change the meanings of some words to cover these technologies. A good example is the word ‘mouse’, which we all know is an animal, but it is now also a tool we use to navigate around a computer screen.

“Society has changed dramatically over time and we now need to talk about different things, different developments or innovations. Accordingly, the meanings of many words have extended beyond their original sense.”

The Queen’s accent has shifted over time to become more mainstream. 

+++
Entry 1:
Compound: K3MgPCO7
Source: Materials Project
Functional: GGA-PBE
Structure: optimized geometry Values from VASP.

```
&SYSTEM
  ibrav = 0, nat = 26, ntyp = 5
/
ATOMIC_SPECIES
K 39.10 K.upf
Mg 24.30 Mg.upf
P 30.97 P.upf
C 12.01 C.upf
O 16.00 O.upf
ATOMIC_POSITIONS angstrom
K 1.330 1.732 4.102
K 1.425 3.554 7.511
K 1.425 6.839 7.511
K 4.175 0.090 2.113
K 4.175 3.375 2.113
K 4.270 5.197 5.522
Mg 1.292 5.197 1.364
Mg 4.308 1.732 8.260
P 1.541 1.732 0.714
P 4.059 5.197 8.910
C 1.433 5.197 3.956
C 4.167 1.732 5.668
O 0.302 5.197 3.300
O 0.451 1.732 9.182
O 1.358 0.463 1.602
O 1.358 3.001 1.602
O 1.457 5.197 5.252
O 2.532 5.197 3.251
O 2.616 5.197 9.511
O 2.984 1.732 0.113
O 3.068 1.732 6.373
O 4.143 1.732 4.372
O 4.242 3.928 8.022
O 4.242 6.466 8.022
O 5.149 5.197 0.442
O 5.298 1.732 6.324
CELL_PARAMETERS angstrom
5.652 0.000 0.000
0.000 6.929 0.000
-0.053 0.000 9.624
```

Volume = 376.9 Å³ per cell
Total magnetization = 0.0 μB per formula unit
Electronic total energy = -6.344 eV/atom
Formation energy = -2.544 eV per atom

***

Entry 2:
Compound: LiDyP4O12
Source: Materials Project
Functional: GGA-PBE
Structure: optimized geometry Values from VASP.

```
&SYSTEM
  ibrav = 0, nat = 36, ntyp = 4
/
ATOMIC_SPECIES
Li 6.94 Li.upf
Dy 162.50 Dy.upf
P 30.97 P.upf
O 16.00 O.upf
ATOMIC_POSITIONS angstrom
Li 3.940 2.091 5.886
Li 6.796 -2.091 1.962
Dy 6.796 1.455 1.962
Dy 3.940 -1.455 5.886
P -1.268 0.365 4.837
P 1.589 -0.365 0.913
P 1.226 1.069 6.330
P 6.653 1.069 5.442
P 4.083 -1.069 2.406
P 9.510 -1.069 1.518
P 9.147 0.365 6.935
P 12.004 -0.365 3.011
O 1.228 0.908 1.824
O -1.354 0.032 3.367
O -4.211 -0.032 7.291
O 4.588 2.057 2.478
O 0.304 0.564 5.126
O 0.593 0.832 7.667
O -1.629 -0.908 5.748
O 9.005 2.057 1.446
O 3.161 -0.564 1.202
O 2.625 0.587 6.067
O 5.255 0.587 5.706
O 3.450 -0.832 3.742
O 7.286 0.832 4.106
O 5.482 -0.587 2.142
O 8.111 -0.587 1.782
O 7.575 0.564 6.647
O 1.731 -2.057 6.402
O 12.365 0.908 2.100
O 10.143 -0.832 0.182
O 10.432 -0.564 2.722
O 6.148 -2.057 5.370
O 14.947 0.032 0.558
O 12.090 -0.032 4.482
O 9.508 -0.908 6.024
CELL_PARAMETERS angstrom
8.225 -3.566 0.000
8.225 3.566 0.000
-5.714 0.000 7.848
```

Volume = 460.4 Å³ per cell
Total magnetization = 0.0 μB per formula unit
Electronic total energy = -7.336 eV/atom
Formation energy = -2.930 eV per atom

***

Entry 3:
Compound: LiCuF3
Source: Materials Project
Functional: GGA-PBE
Structure: optimized geometry Values from VASP.

```
&SYSTEM
  ibrav = 0, nat = 30, ntyp = 3
/
ATOMIC_SPECIES
Li 6.94 Li.upf
Cu 63.55 Cu.upf
F 19.00 F.upf
ATOMIC_POSITIONS angstrom
Li 0.000 0.513 3.653
Li -2.084 4.123 13.394
Li 0.444 0.256 1.218
Li 2.084 4.123 8.523
Li 4.613 0.256 6.088
Li 2.528 3.867 10.959
Cu 0.000 2.506 10.959
Cu -0.358 3.127 6.088
Cu 0.358 3.127 1.218
Cu 2.170 1.253 8.523
Cu 2.887 1.253 13.394
Cu 2.528 1.874 3.653
F -0.609 1.055 12.176
F -1.919 3.324 4.871
F -0.479 1.789 2.294
F -1.219 3.070 0.141
F 1.218 0.000 7.306
F 0.609 1.055 9.741
F 0.479 1.789 5.012
F -0.740 3.900 12.035
+++

Consider the word ‘silly’. Originally, it meant ‘blessed’, then it morphed into ‘pitiable’ or ‘weak’. By the 16th Century, it came to mean ‘foolish’.

But these changes can also happen quite quickly. Take the word ‘nonplussed’ – it means “confused, stunned, bewildered”. But in the 21st century, it’s increasingly being used to mean the opposite – “calm and unperturbed”.

In fact, former US president Barack Obama used its evolving meaning to describe his daughters’ approach to media scrutiny, saying “I’ve been really happy by how nonplussed they’ve been by the whole thing.”

Similarly, language has been adapted to communicate across social media platforms through tweeting and texting.

Professor Hajek insists the English language is a living organism which is constantly changing, moving forward and moving backwards. Context and register can be critical.

“When we speak, we tend to take a more relaxed manner,” he explains. This has, for example, allowed for some verbs to change their use.

While, traditionally, the past tense of the verb ‘bring’ is ‘brought’, it is becoming increasingly common in spoken English to use ‘brang’ or ‘brung’ – based on the past tense form ‘rang’ and ‘rung’ for ‘ring’.

Chaucer’s English is now six hundred years old. 

Sometimes even ‘bought’ is used as the past tense of ‘bring’ because ‘bought’ and ‘brought’ are very similar in sound, and ‘bring’ and buy are common everyday verbs.

As clunky as those examples might sound to some of us, this bastardisation (as some would characterise it) of the language doesn’t disturb Professor Hajek.

“I’m a linguist and I’m fascinated by these sorts of things. The basic principle is that linguistics change all the time; otherwise, everyone would be talking as we did hundreds of years ago when Chaucer and Shakespeare were alive.

“It is fashion, new technology, new influences, youth-speak, and people understanding things that leads to the evolution of the language.”

At its heart, language is designed to communicate and to be understood. Even the Queen of England has had to move with the times.

According to Professor Hajek, her accent has shifted over time to become more mainstream.

“She has to be able to connect with people – even at her age,” he adds. “It’s a fine balance between closeness and distance.”

He concedes, however, that changes to the language can be challenging for many people who might struggle to stay abreast of those changes. For example, the word ‘sick’ means to be ‘ill’, but now it can also mean ‘great’.

For traditionalists, that just might be a bit ‘extra’ (or over the top to the uninitiated).

This article was published by Pursuit.